Improving communication and efficiency with service blueprint mapping

Jeanette Clement
EE Design Team
Published in
4 min readJun 29, 2023
Service designers running a training session, they are mapping a service blueprint on a large window with a group of colleagues.
Good things come to those who map whole services.

The EE Service Design team took a decision to deliver training to 600 colleagues this year on the value of service blueprint mapping. We are facilitating two training sessions a week, one face-to-face and one remote, rotating across all our major offices. That sounds like an exhausting effort on top of other work, so why are we doing it?

There have been a few blog posts recently questioning the value of service blueprint mapping: they can take a long time to create, hard to maintain, and sometimes overkill for the goal of the teams. But these arguments miss the point of the real value. Facilitated in the right way, service blueprint maps are a vital communication tool to help teams rise above their organisational boundaries and gain a shared understanding of what needs to be done.

How often have you experienced lost time in meetings going round in circles? The relief when someone asks a question by chance about something they don’t understand but feel they should. Colleagues with cameras off feeling excluded from conversations or confused about what is happening now and next. It’s hard to measure, but that is a lot of waste. Well-facilitated mapping activities can help to remedy all those things and help us to be more efficient.

Service blueprint mapping training in Birmingham

Our organisational structures often create silos that can get in the way of effective communication across squads, disciplines and departments. It’s important for everyone that has a role building a digital service to understand the end-to-end journey, and front to back of the customer and advisor experience and technology, whether a designer, developer, product manager, solution architect or marketing colleague. They all make decisions about the service.

When individuals understand the intricacies and value of mapping, they can engage in meaningful discussions, share insights, and align their efforts toward a more cohesive and seamless customer experience. This approach reduces duplicated efforts and lets us function more efficiently. It reduces miscommunication and the risk of re-doing work unknowingly. It helps us to be clearer on insights and how to make evidence-based decisions.

_Between two parts of the entry: data records_
(1)
VASP calculation (PBE-GGA) on Np3In5Te12 after structural relaxation.

The space group is Ia-3d (No. 230) and the conventional cell measures 17.8090, 17.8090 and 17.8090 Å, with angles of 90.00, 90.00 and 90.00 degrees. The distinct sites, in fractional coordinates, are Np at (0.0000, 0.2500, 0.1250), In at (0.0000, 0.0000, 0.0000), In at (0.0000, 0.2500, 0.3750) and Te at (0.0199, 0.0683, 0.6533).

For the total magnetic moment, the calculation gives 11.169 μB/f.u. For the raw formation energy, the calculation gives -0.366 eV/atom. The value obtained for the final energy is -4.8772 eV per atom.



(2)
VASP calculation (PBE-GGA) on AlAgI2 after structural relaxation.

The space group is Fm-3m (No. 225) and the conventional cell measures 7.7537, 7.7537 and 7.7537 Å, with angles of 90.00, 90.00 and 90.00 degrees. The distinct sites, in fractional coordinates, are Al at (0.0000, 0.0000, 0.0000), Ag at (0.0000, 0.0000, 0.5000) and I at (0.2500, 0.2500, 0.2500).

The value obtained for the energy above the most stable polymorph in this dataset is 131 meV per atom. For the total magnetic moment, the calculation gives 0.000 μB/f.u. For the raw formation energy, the calculation gives 0.107 eV/atom. The value obtained for the final energy is -2.3164 eV per atom.



(3)
VASP calculation (PBE-GGA) on ErPu2Ir9 after structural relaxation.

The space group is R-3m (No. 166, hexagonal axes) and the conventional cell measures 5.2886, 5.2886 and 26.3738 Å, with angles of 90.00, 90.00 and 120.00 degrees. The distinct sites, in fractional coordinates, are Er at (0.0000, 0.0000, 0.0000), Pu at (0.0000, 0.0000, 0.1397), Ir at (0.0000, 0.0000, 0.3331), Ir at (0.0000, 0.0000, 0.5000) and Ir at (0.0020, 0.5010, 0.9172).

For the total magnetic moment, the calculation gives 8.146 μB/f.u. The energy of formation comes out at -0.458 eV/atom. The value obtained for the final energy is -9.8726 eV per atom.



(4)
VASP calculation (PBE-GGA) on Cs2NdYS4 after structural relaxation.

The space group is P2/m (No. 10) and the conventional cell measures 7.2453, 4.1834 and 8.4387 Å, with angles of 90.00, 106.64 and 90.00 degrees. The distinct sites, in fractional coordinates, are Cs at (0.0000, 0.0000, 0.0000), Cs at (0.5000, 0.5000, 0.0000), Nd at (0.0000, 0.5000, 0.5000), Y at (0.5000, 0.0000, 0.5000), S at (0.2358, 0.0000, 0.6855) and S at (0.2792, 0.5000, 0.3171).

For the total magnetic moment, the calculation gives 0.000 μB/f.u. For the raw formation energy, the calculation gives -1.820 eV/atom. The value obtained for the final energy is -5.5010 eV per atom.



(5)
VASP calculation (PBE-GGA) on GeSbS after structural relaxation.

The space group is I4mm (No. 107) and the conventional cell measures 2.8253, 2.8253 and 18.5987 Å, with angles of 90.00, 90.00 and 90.00 degrees. The distinct sites, in fractional coordinates, are Ge at (0.0000, 0.0000, 0.0000), Sb at (0.0000, 0.0000, 0.1768) and S at (0.0000, 0.0000, 0.8718).

Martin looking super professional at a podium presenting with a screen behind him. On the screen it says ‘the anatomy of a service pattern’
Martin Price explaining the value of service patterns

We are committed to creating an environment where everyone can take part in the design of services. Equipping individuals with knowledge through mapping empowers them to actively participate in the design process. When colleagues understand the value of service blueprint mapping, they are more likely to engage wholeheartedly, contribute ideas, and collaborate effectively with their colleagues.

So far, we have had a great reaction to the training from leadership and peers. In the first few weeks we trained several directors from Digital, demonstrating commitment from the top as well as 120 colleagues across all areas representing product managers, solution architects, engineers, designers and user research.

As service designers, we are measuring whether the training is achieving the desired outcomes. So far, every attendee improved their understanding of different types of mapping activities, as well as their understanding of the value of and how to contribute to service blueprint mapping.

Two scales that show understanding improving on a 0–5 scale for the training participants.
Before and after measurements of the training

Our decision to train everyone on service blueprint mapping is driven by recognising the immense value of collaboration when building customer-centric services. Doing the hard work to make things simple can be time-consuming and takes maintenance, but the benefits far outweigh the drawbacks.

By creating an environment conducive to design, we’re expanding mapping skills and knowledge, breaking down barriers, and enabling technology teams to grasp the bigger picture. We’ll unlock the full potential of our amazing colleagues, enhance collaboration, streamline processes, and ultimately deliver outstanding experiences to our customers.

What is your experience of service blueprint mapping? Let us know below.

